Today Holly started school. No, not kindergarten, nor pre-school or daycare, but "summer fun, two, three". It's basically mini-preschool for an hour and a half, one day a week at the local community centre. It's essentially training wheels for kids who'll be starting preschool, and a taste of what it's like being in a classroom with a STRANGER taking care of them. Holly's only ever been minded by family or friends, so this is a big step for her.
Getting ready this morning, I could see the emotional spectrum she was dealing with. She was very excited to be going to school, but pretty apprehensive about people and things she didn't know. On top of that, the program is held at the same centre where her greatest fear resides: the
********
Formula: C22H36F3Si4
Source: the OMol25 dataset
Level of theory: the ωB97M-V functional and the def2-TZVPD basis

Last column: Löwdin charge in e.
Positions of all 65 atoms, in Å:
C -2.71 2.23 2.40  -0.19
Si -2.40 0.84 1.17  0.35
C -3.32 -0.69 1.76  -0.22
C -3.12 1.35 -0.50  -0.22
Si -0.14 0.23 0.83  0.49
H 0.07 -0.92 -0.25  -0.07
Si 0.94 2.25 0.23  0.35
C 0.73 3.69 1.43  -0.19
C 2.79 1.90 0.06  -0.21
C 0.27 2.76 -1.46  -0.22
Si 0.69 -0.25 3.00  0.35
C 0.48 1.11 4.29  -0.19
C -0.20 -1.78 3.64  -0.23
C 2.53 -0.64 2.84  -0.22
H -3.79 2.41 2.46  0.04
H -2.36 2.00 3.42  0.02
H -2.24 3.18 2.11  0.01
H -4.40 -0.47 1.78  0.04
H -3.16 -1.54 1.09  0.02
H -3.03 -1.00 2.77  0.01
H -4.20 1.47 -0.40  0.04
H -2.71 2.30 -0.86  0.02
H -2.93 0.59 -1.27  0.01
H 1.28 4.56 1.02  0.04
H -0.31 4.00 1.56  0.02
H 1.14 3.50 2.42  0.02
H 3.27 2.78 -0.39  0.04
H 3.27 1.71 1.02  0.02
H 2.98 1.05 -0.60  0.01
H 0.87 3.60 -1.83  0.04
H 0.34 1.95 -2.18  0.01
H -0.77 3.09 -1.41  0.01
H 0.91 0.76 5.24  0.04
H 1.01 2.04 4.03  0.01
H -0.56 1.37 4.48  0.02
H 0.28 -2.12 4.57  0.04
H -1.26 -1.60 3.86  0.01
H -0.14 -2.61 2.92  0.03
H 2.89 -1.04 3.80  0.04
H 2.72 -1.39 2.07  0.02
H 3.13 0.25 2.60  0.01
F 3.71 0.73 -3.61  0.07
C 3.41 -0.47 -2.98  -0.21
C 4.44 -1.16 -2.37  0.13
C 4.08 -2.31 -1.66  -0.20
F 5.07 -3.00 -0.99  0.07
C 2.78 -2.77 -1.59  0.09
C 1.72 -2.02 -2.21  -0.18
C 0.39 -2.45 -1.94  0.08
C -0.85 -2.18 -2.59  -0.19
C -1.95 -3.05 -2.30  0.01
C -3.23 -2.78 -2.77  -0.02
C -3.47 -1.64 -3.56  0.06
C -2.40 -0.82 -3.87  -0.22
F -2.64 0.33 -4.60  0.07
C -1.10 -1.09 -3.47  0.09
C 2.09 -0.89 -2.98  0.08
H 5.47 -0.82 -2.42  0.16
H 2.56 -3.69 -1.07  0.14
H 0.33 -3.28 -1.23  0.14
H -1.77 -3.95 -1.71  0.13
H -4.05 -3.44 -2.53  0.13
H -4.47 -1.40 -3.93  0.14
H -0.31 -0.44 -3.82  0.10
H 1.36 -0.32 -3.54  0.11

Summary:
- HOMO-LUMO gap: 4.56 eV
- Max |F|: 1.92 eV/A
- Net charge: +1
- E_HOMO: -10.981 eV
- 2S+1: 1
- E_tot: -63055.3403 eV
********
Noisy Castle. Luckily, the preschool room is at the other end of centre from the rec room with the jumping castle.
We arrived a little early, and went into the foyer of the centre, but as the door to the classroom was locked, we could only look through the window. Holly was jumping with excitement, looking in wonder at all the toys they were putting out; toy kitchens, speedy cars and a great big dollhouse. Finally, some other toddlers arrived, a group of three boys. They evidently knew each other from the spring toddlers' class, and came thundering in, in a way that only two and three year old boys could. Holly, bless her heart, walked up to them, smiled, and said "Hello, my name is Holly", but they just ignored her. At bit disheartening at first, but Holly bounced back when the teacher unlocked the door, and she was allowed into a magical realm of new toys.
I'm sure there are Jungian psychologists out there who can see a child's future career path by what order they are attracted to toys. I'm not sure what to make of her selections. First, the toy kitchen, particularly the plastic-food. Odd, for a girl who not at all interested in the real stuff. Secondly, all the toy cars. Then the wooden shapes with sand in them. Lastly, the dollhouse.
== Inserted here: molecular data ==
┌──
This record from the OMol25 dataset describes 10 unconnected molecules or ions with the total composition C26H74N8O10. The level of theory is wB97M-V/def2-TZVPD.

Geometry as XYZ:
```
118
Properties=species:S:1:pos:R:3:mulliken_charge:R:1
C -1.94 3.31 2.99 -1.262
C -1.84 4.40 1.93 0.375
C -0.41 4.34 1.33 -0.226
O -0.29 5.33 0.36 -0.428
C 1.07 5.58 -0.04 -0.173
N -2.78 3.95 0.92 -0.393
H -1.11 3.43 3.72 0.310
H -1.85 2.28 2.59 0.072
H -2.86 3.44 3.61 0.462
H -2.03 5.36 2.43 0.307
H -0.24 3.37 0.94 -0.174
H 0.42 4.51 2.05 0.435
H 1.67 4.72 -0.25 -0.395
H 1.61 6.27 0.67 0.344
H 1.06 6.09 -1.00 0.431
H -3.74 4.10 1.18 0.233
H -2.69 4.52 0.08 0.232
C 0.78 -4.58 -0.88 -0.993
C 1.05 -5.54 0.32 0.390
C 1.30 -4.93 1.72 -0.557
O 2.22 -3.92 1.66 -0.222
C 2.66 -3.60 2.97 -0.759
N 0.09 -6.59 0.52 -0.640
H 1.68 -3.97 -1.13 0.231
H -0.17 -3.97 -0.80 0.045
H 0.61 -5.25 -1.74 0.401
H 1.96 -6.07 0.04 0.297
H 1.74 -5.70 2.38 0.384
H 0.31 -4.63 2.17 0.065
H 3.06 -4.53 3.42 0.383
H 1.84 -3.19 3.57 0.260
H 3.48 -2.89 2.95 0.248
H 0.03 -7.22 -0.24 0.235
H -0.82 -6.36 0.91 0.192
C -1.02 -2.80 4.87 0.628
O 0.08 -2.72 5.41 -0.729
N -1.72 -3.96 4.85 -0.495
N -1.76 -1.74 4.39 -0.506
H -2.71 -3.82 4.81 0.237
H -1.56 -4.54 5.68 0.297
H -2.19 -1.85 3.49 0.284
H -1.14 -0.94 4.38 0.236
C 1.31 0.55 4.59 0.508
O 0.22 0.47 3.93 -0.573
N 2.37 1.40 4.25 -0.321
N 1.62 -0.29 5.67 -0.415
H 3.27 1.20 4.66 0.220
H 2.43 1.88 3.38 0.084
H 2.56 -0.38 5.99 0.203
H 1.04 -1.13 5.78 0.241
C 2.76 -2.19 -3.49 0.471
O 3.18 -3.28 -3.30 -0.681
N 2.18 -1.48 -2.53 0.332
N 2.72 -1.63 -4.68 -0.429
H 1.84 -0.60 -2.68 -0.331
H 2.52 -1.53 -1.60 0.138
H 2.09 -0.85 -4.84 0.250
H 2.68 -2.26 -5.47 0.261
C -4.48 0.86 -0.76 -0.444
C -6.00 0.99 -0.50 0.317
C -6.71 2.29 -0.94 -1.327
O -6.61 -0.20 -1.06 -0.543
H -4.02 1.61 -0.12 0.036
H -4.37 0.94 -1.84 0.177
H -4.19 -0.13 -0.41 0.248
H -6.24 0.90 0.58 0.182
H -7.71 2.49 -0.57 0.434
H -6.77 2.46 -2.02 0.363
H -6.12 3.10 -0.52 0.274
H -7.54 -0.02 -1.17 0.294
C 0.41 2.64 -2.58 -0.528
C 0.98 2.06 -3.84 0.315
C 2.46 2.19 -3.81 -1.151
O 0.70 0.68 -4.02 -0.386
H 0.79 2.22 -1.65 -0.407
H -0.66 2.76 -2.50 0.546
H 0.91 3.62 -2.51 0.335
H 0.53 2.54 -4.74 0.448
H 2.93 1.62 -4.60 0.417
H 2.84 1.67 -2.91 0.009
H 2.85 3.24 -3.85 0.404
H -0.22 0.56 -4.28 0.166
C -1.10 -1.94 -2.70 -0.040
C -1.19 -1.87 -4.22 0.522
C -2.06 -3.04 -4.74 -1.608
O -1.75 -0.59 -4.65 -0.686
H -2.08 -2.07 -2.23 0.589
H -0.66 -1.01 -2.35 -0.201
H -0.48 -2.76 -2.34 -0.193
H -0.21 -1.90 -4.76 0.057
H -2.30 -2.88 -5.81 0.404
H -3.01 -3.07 -4.25 0.387
H -1.54 -3.99 -4.63 0.342
H -2.60 -0.46 -4.18 0.343
C 0.80 -1.28 0.84 -1.231
C 0.23 0.06 0.50 2.850
C -1.26 -0.07 0.41 -1.637
O 0.67 1.11 1.30 1.141
H 0.64 -2.01 0.03 -0.396
H 0.31 -1.64 1.74 0.228
H 1.87 -1.19 1.14 0.364
H 0.64 0.29 -0.49 -1.443
H -1.64 -0.86 -0.23 0.208
H -1.73 0.84 0.03 0.284
H -1.68 -0.25 1.43 0.368
H 0.41 1.00 2.20 -0.517
C 4.58 3.68 -0.02 -1.694
C 3.56 2.56 -0.11 1.780
C 4.14 1.18 -0.33 -1.348
O 2.93 2.61 1.17 -0.620
H 5.20 3.43 0.84 0.405
└──
While Holly scoped out the toy landscape, two more little boys came in, and I thought to myself "this is turning into a cocktail sausage fest". Finally the last member of the class arrived, a little Asian girl. I was pretty happy to see her, but a bit disappointed when I heard her mum advise the teacher that "she doesn't speak any English". I couldn't tell if she was Japanese or Korean, but I'll find out next week, so Holly can greet her with either Konnichiwa, or Anyang (two words she's learnt from going to the library).
So they went through the routines of free play, story time, snack time, arts and crafts and finally sing-along. Quite a lot to cram into an hour and a half. As a test, I left the classroom twice. Once for a quick pee, and then another for a fifteen minute trip to the library. Holly seemed to handle it fine, though when I was in the room, I noticed the odd glance from her here and there, just checking that everything was still cool. She heartily joined in all the activities, though she was not all that keen on sing-along, as it came just after arts and crafts, where Holly had discovered this magical new substance called "glue". She handled it very well, artfully decorating her paper fish with lacy tendrils of glue, and carefully placing sequins and shiny pieces of paper so as to not ruin her glue pattern (I hadn't the heart to tell her it will be clear when it dries). During most of sing-along, she just stood, silent, her fingers twitching, while looking with longing at the white jars of glue on the crafts table. However, by the end of class, the Anthropologist in me could see the formation of cliques, even in this young age group. Around the teacher, were the four, white, tough, sporty boys (the Jocks). However, slightly further away, lying down peacefully on the butterfly carpet, were the little Asian girl, a latin-American boy (who had spent 75% of the class clinging to his mother and crying), and Holly.
## The page is interrupted by records of molecules
=====
# C33H31FeN7OS3

C33H31FeN7OS3 as an isolated structure in a non-equilibrium geometry (the ωB97M-V functional and the def2-TZVPD basis, the Open Molecules 2025 dataset).

The total charge is +1. The calculation puts the lowest unoccupied orbital energy (alpha / beta) at -3.982 / -3.807 eV. The HOMO-LUMO gap (alpha / beta) is 0.2253 / 0.2346 hartree. Its multiplicity is 2. The expectation value of S² is 0.845.

Structure (XYZ):
```
76
Properties=species:S:1:pos:R:3:forces:R:3:mulliken_charge:R:1
Fe -0.064 -0.309 0.012 -0.172 -0.988 -1.636 -0.217
C 1.097 3.617 -0.296 -0.084 -0.011 0.012 -1.676
C 0.483 2.288 0.013 -0.084 0.400 0.090 1.503
N 0.436 1.326 -0.832 0.313 0.121 0.013 0.970
N 0.804 1.528 -2.151 0.069 -0.215 0.236 -1.018
C 0.435 0.510 -2.857 -0.029 -0.104 -0.090 0.270
S -0.367 -0.903 -2.231 -0.321 0.541 0.624 -0.339
S 0.752 0.427 -4.566 0.006 0.065 -0.045 -0.091
C 1.274 2.141 -4.951 -0.152 -0.063 0.038 -0.840
C 0.127 3.010 -5.389 0.008 -0.085 0.046 0.415
C -0.207 3.110 -6.736 0.001 0.014 -0.018 -0.580
C -1.287 3.883 -7.139 0.021 -0.013 0.016 -0.565
C -2.047 4.561 -6.196 0.017 -0.006 0.011 -0.409
C -1.721 4.463 -4.849 0.025 -0.023 -0.008 -0.681
C -0.640 3.691 -4.448 -0.037 0.051 -0.020 0.225
C -0.168 2.024 1.312 0.005 0.159 -0.038 -0.210
C 0.279 2.653 2.482 0.136 0.001 -0.160 -0.535
C -0.392 2.502 3.670 -0.163 -0.096 0.106 -0.915
C -1.577 1.752 3.696 0.076 0.097 0.058 -0.557
C -2.044 1.131 2.561 -0.131 -0.225 -0.139 -0.462
C -1.339 1.210 1.346 -0.034 0.403 -0.195 1.121
O -1.749 0.554 0.256 0.785 -0.007 0.381 -0.928
H 0.981 3.850 -1.351 0.009 -0.002 0.000 0.222
H 2.170 3.578 -0.084 -0.041 -0.020 0.002 0.347
H 0.652 4.403 0.311 0.003 -0.010 -0.004 0.465
H 2.017 2.029 -5.738 0.009 0.017 -0.019 0.584
H 1.755 2.517 -4.052 0.070 0.045 -0.036 0.268
H 0.384 2.579 -7.475 -0.027 0.034 0.029 0.368
H -1.535 3.956 -8.191 0.012 0.000 0.035 0.371
H -2.888 5.167 -6.509 0.026 -0.024 0.014 0.381
H -2.312 4.989 -4.109 0.020 -0.010 -0.022 0.396
H -0.390 3.607 -3.396 -0.006 -0.002 -0.043 0.254
H 1.181 3.256 2.445 -0.062 -0.012 -0.022 0.530
H -0.025 2.976 4.571 -0.027 -0.008 -0.027 0.457
H -2.136 1.665 4.620 0.022 -0.011 -0.028 0.428
H -2.962 0.554 2.564 0.043 0.032 0.051 0.508
C 5.542 0.923 1.121 0.014 -0.012 -0.014 -0.523
C 4.710 0.909 0.012 0.039 0.019 0.035 -1.086
C 3.385 0.523 0.146 -0.077 -0.059 -0.003 0.205
C 2.905 0.141 1.393 0.068 0.392 -0.139 0.206
C 3.742 0.144 2.509 -0.219 0.022 0.050 -0.420
C 5.056 0.542 2.370 0.063 0.040 -0.070 -0.708
N 1.546 -0.298 1.465 0.186 0.430 -0.476 1.584
N 1.239 -0.834 2.528 -0.407 -0.936 0.732 -0.860
C -0.001 -1.517 2.497 -0.048 0.057 0.051 -0.074
C -0.427 -2.126 3.654 0.047 -0.084 0.344 -0.673
C -1.611 -2.844 3.626 0.020 -0.016 0.132 -0.461
C -2.319 -2.931 2.441 -0.049 -0.021 -0.102 -0.999
C -1.823 -2.293 1.316 0.065 0.021 -0.017 -0.484
N -0.679 -1.612 1.345 -0.038 -0.047 0.219 0.661
H 6.577 1.222 1.013 -0.036 0.008 0.019 0.420
H 5.089 1.193 -0.960 -0.004 -0.006 0.010 0.464
H 2.740 0.482 -0.721 -0.008 0.030 -0.016 0.188
=====
## End of the records of molecules
Yes folks, our future Freaks and Geeks.